********
1.
Tl5Hg6: theoretical XRD peak list (λ = 1.5418 Å (Cu Kα)), based on a crystal structure in Alexandria, relaxed with GGA-PBE.

Cell and atoms:
```
11
Lattice="2.480 -7.645 0.000 2.480 7.645 0.000 -0.008 0.000 8.826" Properties=species:S:1:pos:R:3 pbc="T T T"
Tl 0.000 0.000 0.000
Tl 2.480 2.604 0.000
Tl 2.476 2.402 4.413
Tl 2.476 -2.402 4.413
Tl 2.480 -2.604 0.000
Hg 2.477 5.154 2.276
Hg 2.476 5.154 6.550
Hg 2.471 0.000 6.557
Hg 2.482 0.000 2.269
Hg 2.477 -5.154 2.276
Hg 2.476 -5.154 6.550
```

Most intense lines, 2θ = 5–70°, sorted by position:
32.34°, I 100.0; 35.22°, I 19.6; 36.22°, I 18.8; 40.90°, I 13.5; 51.41°, I 13.6; 55.76°, I 11.1; 61.39°, I 15.3; 62.71°, I 15.5; 67.69°, I 11.8; 69.11°, I 11.2



2.
Er3ScO6: theoretical XRD peak list (λ = 1.5418 Å (Cu Kα)), based on a crystal structure in Alexandria, relaxed with GGA-PBE.

Cell and atoms:
```
20
Lattice="4.707 2.718 3.649 -4.707 2.718 3.649 0.000 -5.435 3.649" Properties=species:S:1:pos:R:3 pbc="T T T"
Er -3.256 -0.879 5.041
Er -0.867 -3.259 5.906
Er -2.389 2.381 5.906
Er 2.389 -2.381 5.041
Er 0.867 3.259 5.041
Er 3.256 0.879 5.906
Sc 0.000 0.000 0.000
Sc 0.000 0.000 5.473
O -3.087 -2.945 5.962
O -4.094 1.201 4.985
O -1.120 -1.500 4.412
O 1.007 -4.146 4.985
O -1.859 0.220 6.535
O -0.739 1.720 4.412
O 0.739 -1.720 6.535
O 1.859 -0.220 4.412
O -1.007 4.146 5.962
O 1.120 1.500 6.535
O 4.094 -1.201 5.962
O 3.087 2.945 4.985
```

Most intense lines, 2θ = 5–70°, sorted by position:
18.85°, I 16.4; 24.39°, I 38.7; 30.13°, I 100.0; 31.01°, I 41.9; 33.37°, I 44.7; 43.29°, I 20.4; 44.26°, I 24.2; 49.43°, I 14.4; 51.36°, I 22.4; 53.90°, I 18.3



3.
TiNb2W2: theoretical XRD peak list (λ = 1.5418 Å (Cu Kα)), based on a crystal structure in Alexandria, relaxed with GGA-PBE.

Cell and atoms:
```
10
Lattice="2.668 -6.832 0.000 2.668 6.832 0.000 0.000 0.000 4.995" Properties=species:S:1:pos:R:3 pbc="T T T"
Ti 0.000 0.000 0.000
Ti 0.000 0.000 2.498
Nb 2.668 4.308 3.747
Nb 2.668 0.898 1.249
Nb 2.668 -0.898 3.747
Nb 2.668 -4.308 1.249
W 1.357 1.991 3.747
W 1.357 -1.991 1.249
W 3.980 1.991 3.747
W 3.980 -1.991 1.249
```

Most intense lines, 2θ = 5–70°, sorted by position:
22.04°, I 42.6; 26.08°, I 26.0; 31.42°, I 11.9; 31.73°, I 13.1; 35.96°, I 37.2; 40.54°, I 100.0; 43.01°, I 21.2; 43.68°, I 23.9; 44.96°, I 21.9; 67.75°, I 30.9

=====

The following is a theoretical X-ray powder pattern of Pm2GaPd8. It was derived from a crystal structure in Alexandria, relaxed with PBE, using Cu Kα (weighted mean of Kα1 and Kα2).
Intensities are scaled so that the largest is 100.

Principal peaks in the range 15° ≤ 2θ ≤ 90°, by angle:
2.777 Å, 32.2 deg, intensity 16
2.429 Å, 37.0 deg, intensity 36
2.370 Å, 38.0 deg, intensity 15
2.335 Å, 38.6 deg, intensity 35
2.235 Å, 40.4 deg, intensity 100
1.532 Å, 60.4 deg, intensity 13
1.328 Å, 71.0 deg, intensity 19
1.281 Å, 74.0 deg, intensity 16

Atomic structure:
abc: 8.067 8.067 6.034
angles: 111.90 111.90 33.65
Sites, in units of the cell vectors:
Pm  0.189  0.189  0.188
Pm  0.811  0.811  0.812
Ga  0.500  0.500  0.500
Pd  0.000  0.000  0.257
Pd  0.000  0.000  0.743
Pd  0.179  0.179  0.679
Pd  0.368  0.368  0.628
Pd  0.369  0.369  0.109
Pd  0.631  0.631  0.891
Pd  0.632  0.632  0.372
Pd  0.821  0.821  0.321


The following is a theoretical X-ray powder pattern of Pm2Ga7Pd12. It was derived from a crystal structure in Alexandria, relaxed with PBE, using Cu Kα (weighted mean of Kα1 and Kα2).
Intensities are scaled so that the largest is 100.

Principal peaks in the range 15° ≤ 2θ ≤ 90°, by angle:
2.562 Å, 35.0 deg, intensity 100
2.372 Å, 37.9 deg, intensity 9
2.093 Å, 43.2 deg, intensity 16
2.040 Å, 44.4 deg, intensity 10
1.978 Å, 45.9 deg, intensity 16
1.940 Å, 46.8 deg, intensity 27
1.385 Å, 67.6 deg, intensity 11
1.210 Å, 79.2 deg, intensity 9

Atomic structure:
abc: 10.268 10.268 3.955
angles: 90.00 90.00 120.00
Sites, in units of the cell vectors:
Pm  0.333  0.667  0.243
Pm  0.667  0.333  0.757
Ga  0.000  0.000  0.500
Ga  0.114  0.402  0.746
********

Could you quote the lines further above up to the one that holds "0.109", that line included?

1.
Tl5Hg6: theoretical XRD peak list (λ = 1.5418 Å (Cu Kα)), based on a crystal structure in Alexandria, relaxed with GGA-PBE.

Cell and atoms:
```
11
Lattice="2.480 -7.645 0.000 2.480 7.645 0.000 -0.008 0.000 8.826" Properties=species:S:1:pos:R:3 pbc="T T T"
Tl 0.000 0.000 0.000
Tl 2.480 2.604 0.000
Tl 2.476 2.402 4.413
Tl 2.476 -2.402 4.413
Tl 2.480 -2.604 0.000
Hg 2.477 5.154 2.276
Hg 2.476 5.154 6.550
Hg 2.471 0.000 6.557
Hg 2.482 0.000 2.269
Hg 2.477 -5.154 2.276
Hg 2.476 -5.154 6.550
```

Most intense lines, 2θ = 5–70°, sorted by position:
32.34°, I 100.0; 35.22°, I 19.6; 36.22°, I 18.8; 40.90°, I 13.5; 51.41°, I 13.6; 55.76°, I 11.1; 61.39°, I 15.3; 62.71°, I 15.5; 67.69°, I 11.8; 69.11°, I 11.2



2.
Er3ScO6: theoretical XRD peak list (λ = 1.5418 Å (Cu Kα)), based on a crystal structure in Alexandria, relaxed with GGA-PBE.

Cell and atoms:
```
20
Lattice="4.707 2.718 3.649 -4.707 2.718 3.649 0.000 -5.435 3.649" Properties=species:S:1:pos:R:3 pbc="T T T"
Er -3.256 -0.879 5.041
Er -0.867 -3.259 5.906
Er -2.389 2.381 5.906
Er 2.389 -2.381 5.041
Er 0.867 3.259 5.041
Er 3.256 0.879 5.906
Sc 0.000 0.000 0.000
Sc 0.000 0.000 5.473
O -3.087 -2.945 5.962
O -4.094 1.201 4.985
O -1.120 -1.500 4.412
O 1.007 -4.146 4.985
O -1.859 0.220 6.535
O -0.739 1.720 4.412
O 0.739 -1.720 6.535
O 1.859 -0.220 4.412
O -1.007 4.146 5.962
O 1.120 1.500 6.535
O 4.094 -1.201 5.962
O 3.087 2.945 4.985
```

Most intense lines, 2θ = 5–70°, sorted by position:
18.85°, I 16.4; 24.39°, I 38.7; 30.13°, I 100.0; 31.01°, I 41.9; 33.37°, I 44.7; 43.29°, I 20.4; 44.26°, I 24.2; 49.43°, I 14.4; 51.36°, I 22.4; 53.90°, I 18.3



3.
TiNb2W2: theoretical XRD peak list (λ = 1.5418 Å (Cu Kα)), based on a crystal structure in Alexandria, relaxed with GGA-PBE.

Cell and atoms:
```
10
Lattice="2.668 -6.832 0.000 2.668 6.832 0.000 0.000 0.000 4.995" Properties=species:S:1:pos:R:3 pbc="T T T"
Ti 0.000 0.000 0.000
Ti 0.000 0.000 2.498
Nb 2.668 4.308 3.747
Nb 2.668 0.898 1.249
Nb 2.668 -0.898 3.747
Nb 2.668 -4.308 1.249
W 1.357 1.991 3.747
W 1.357 -1.991 1.249
W 3.980 1.991 3.747
W 3.980 -1.991 1.249
```

Most intense lines, 2θ = 5–70°, sorted by position:
22.04°, I 42.6; 26.08°, I 26.0; 31.42°, I 11.9; 31.73°, I 13.1; 35.96°, I 37.2; 40.54°, I 100.0; 43.01°, I 21.2; 43.68°, I 23.9; 44.96°, I 21.9; 67.75°, I 30.9

=====

The following is a theoretical X-ray powder pattern of Pm2GaPd8. It was derived from a crystal structure in Alexandria, relaxed with PBE, using Cu Kα (weighted mean of Kα1 and Kα2).
Intensities are scaled so that the largest is 100.

Principal peaks in the range 15° ≤ 2θ ≤ 90°, by angle:
2.777 Å, 32.2 deg, intensity 16
2.429 Å, 37.0 deg, intensity 36
2.370 Å, 38.0 deg, intensity 15
2.335 Å, 38.6 deg, intensity 35
2.235 Å, 40.4 deg, intensity 100
1.532 Å, 60.4 deg, intensity 13
1.328 Å, 71.0 deg, intensity 19
1.281 Å, 74.0 deg, intensity 16

Atomic structure:
abc: 8.067 8.067 6.034
angles: 111.90 111.90 33.65
Sites, in units of the cell vectors:
Pm  0.189  0.189  0.188
Pm  0.811  0.811  0.812
Ga  0.500  0.500  0.500
Pd  0.000  0.000  0.257
Pd  0.000  0.000  0.743
Pd  0.179  0.179  0.679
Pd  0.368  0.368  0.628
Pd  0.369  0.369  0.109